-- Exercise --
Next, repeat only the lines further down with the word "via" in them.

-- Material --
/*
This record from Alexandria via LeMat-Bulk describes a relaxed structure of TaTeSI2. The functional is PBE.

a b c (Å): 5.401 5.401 5.211
angles (deg): 90.00 90.00 90.00
Space group P4/mmm (No. 123)
Symmetry-distinct sites (fractional):
Ta (0.000, 0.000, 0.000) (multiplicity 1)
Te (0.500, 0.500, 0.000) (multiplicity 1)
S (0.500, 0.500, 0.500) (multiplicity 1)
I (0.000, 0.500, 0.500) (multiplicity 2)

**D(E_F)**: 1.01 states/eV per atom
**E_form (uncorrected)**: 1258 meV/atom
**E above lowest polymorph**: 0.721 eV per atom

=====

# 1
# BaTlCdSn2

BaTlCdSn2 after structural relaxation (GGA-PBE, Alexandria via LeMat-Bulk).

Symmetry ... I-4m2
E ... -2.9502 eV/atom
Energy relative to the elements ... -7.1 kcal/mol of atoms

Lattice parameters (Å, degrees): 7.0715 7.0715 7.0715 136.93 136.93 62.55
Fractional coordinates of all 5 atoms:
Ba (0.0000, 0.0000, 0.0000)
Tl (0.7500, 0.2500, 0.5000)
Cd (0.2500, 0.7500, 0.5000)
Sn (0.3800, 0.3800, 0.0000)
Sn (0.6200, 0.6200, 0.0000)

# 2
# Ba2Tl3CdSn4

Ba2Tl3CdSn4 after structural relaxation (GGA-PBE, Alexandria via LeMat-Bulk).

Symmetry ... P-4m2
E ... -3.0528 eV/atom
Energy relative to the elements ... -6.1 kcal/mol of atoms

Lattice parameters (Å, degrees): 4.9544 4.9544 13.5599 90.00 90.00 90.00
Fractional coordinates of all 10 atoms:
Ba (0.0000, 0.5000, 0.2401)
Ba (0.5000, 0.0000, 0.7599)
Tl (0.0000, 0.0000, 0.0000)
Tl (0.0000, 0.5000, 0.6422)
Tl (0.5000, 0.0000, 0.3578)
Cd (0.5000, 0.5000, 0.0000)
Sn (0.0000, 0.0000, 0.5000)
Sn (0.0000, 0.5000, 0.8674)
Sn (0.5000, 0.0000, 0.1326)
Sn (0.5000, 0.5000, 0.5000)

# 3
# Ba2Tl3Cd4Sn

Ba2Tl3Cd4Sn after structural relaxation (GGA-PBE, Alexandria via LeMat-Bulk).

Symmetry ... P-4m2
E ... -2.1462 eV/atom
Energy relative to the elements ... -6.6 kcal/mol of atoms

Lattice parameters (Å, degrees): 5.0557 5.0557 12.1991 90.00 90.00 90.00
Fractional coordinates of all 10 atoms:
Ba (0.0000, 0.5000, 0.2491)
Ba (0.5000, 0.0000, 0.7509)
Tl (0.0000, 0.0000, 0.0000)
Tl (0.0000, 0.5000, 0.6319)
Tl (0.5000, 0.0000, 0.3681)
Cd (0.0000, 0.0000, 0.5000)
Cd (0.0000, 0.5000, 0.8683)
Cd (0.5000, 0.0000, 0.1317)
Cd (0.5000, 0.5000, 0.5000)
Sn (0.5000, 0.5000, 0.0000)

# 4
# Ba2Tl4Cd3Sn

Ba2Tl4Cd3Sn after structural relaxation (GGA-PBE, Alexandria via LeMat-Bulk).

Symmetry ... P-4m2
E ... -2.2717 eV/atom
Energy relative to the elements ... -6.1 kcal/mol of atoms

Lattice parameters (Å, degrees): 5.0722 5.0722 12.4290 90.00 90.00 90.00
Fractional coordinates of all 10 atoms:
Ba (0.0000, 0.5000, 0.2448)
Ba (0.5000, 0.0000, 0.7552)
Tl (0.0000, 0.0000, 0.5000)
Tl (0.0000, 0.5000, 0.8625)
Tl (0.5000, 0.0000, 0.1375)
Tl (0.5000, 0.5000, 0.5000)
Cd (0.0000, 0.0000, 0.0000)
Cd (0.0000, 0.5000, 0.6313)
Cd (0.5000, 0.0000, 0.3687)
Sn (0.5000, 0.5000, 0.0000)

# 5
# Ba2TmCd3Sn4

Ba2TmCd3Sn4 after structural relaxation (GGA-PBE, Alexandria via LeMat-Bulk).

Symmetry ... P-4m2
E ... -3.1824 eV/atom
Energy relative to the elements ... -11.0 kcal/mol of atoms

Lattice parameters (Å, degrees): 4.9755 4.9755 12.5122 90.00 90.00 90.00
Fractional coordinates of all 10 atoms:
Ba (0.0000, 0.5000, 0.2374)
Ba (0.5000, 0.0000, 0.7626)
Tm (0.0000, 0.0000, 0.5000)
Cd (0.0000, 0.5000, 0.8683)
Cd (0.5000, 0.0000, 0.1317)
Cd (0.5000, 0.5000, 0.5000)
Sn (0.0000, 0.0000, 0.0000)
Sn (0.0000, 0.5000, 0.6390)
Sn (0.5000, 0.0000, 0.3610)
Sn (0.5000, 0.5000, 0.0000)

# 6
# BaYCdSn

BaYCdSn after structural relaxation (GGA-PBE, Alexandria via LeMat-Bulk).

Symmetry ... F-43m
E ... -3.7165 eV/atom
Energy relative to the elements ... -9.0 kcal/mol of atoms

Lattice parameters (Å, degrees): 5.6434 5.6434 5.6434 60.00 60.00 60.00
Fractional coordinates of all 4 atoms:
Ba (0.0000, 0.0000, 0.0000)
Y (0.5000, 0.5000, 0.5000)
Cd (0.7500, 0.7500, 0.7500)
Sn (0.2500, 0.2500, 0.2500)

# 7
# Ba2Zn3Cd4Sn

Ba2Zn3Cd4Sn after structural relaxation (GGA-PBE, Alexandria via LeMat-Bulk).

Symmetry ... P-4m2
E ... -1.7866 eV/atom
Energy relative to the elements ... -5.8 kcal/mol of atoms
*/

-- Done --
This record from Alexandria via LeMat-Bulk describes a relaxed structure of TaTeSI2. The functional is PBE.
BaTlCdSn2 after structural relaxation (GGA-PBE, Alexandria via LeMat-Bulk).
Ba2Tl3CdSn4 after structural relaxation (GGA-PBE, Alexandria via LeMat-Bulk).
Ba2Tl3Cd4Sn after structural relaxation (GGA-PBE, Alexandria via LeMat-Bulk).
Ba2Tl4Cd3Sn after structural relaxation (GGA-PBE, Alexandria via LeMat-Bulk).
Ba2TmCd3Sn4 after structural relaxation (GGA-PBE, Alexandria via LeMat-Bulk).
BaYCdSn after structural relaxation (GGA-PBE, Alexandria via LeMat-Bulk).
Ba2Zn3Cd4Sn after structural relaxation (GGA-PBE, Alexandria via LeMat-Bulk).